Tag: life on Mars

Molecular data that have nothing to do with the page:
~~~
P:
C2H3NS2 | ωB97M-V/def2-TZVPD

SMILES string: C=NC(=S)S
Lowest unoccupied orbital energy (eV): -0.802
Gap between HOMO and LUMO (eV): 7.87

Geometry (Å):
C  -1.580  -0.444  0.248
N  -0.388  -0.789  0.498
C  0.757  -0.242  -0.065
S  2.174  -0.961  -0.339
S  0.888  1.597  -0.105
H  -2.165  -0.904  0.951
H  -1.853  0.235  -0.570
H  2.168  1.508  -0.618



Q:
C2H3NS2 | ωB97M-V/def2-TZVPD

SMILES string: C1=NCSS1
Lowest unoccupied orbital energy (eV): -1.360
Gap between HOMO and LUMO (eV): 7.33

Geometry (Å):
C  -1.359  0.058  0.899
N  -0.480  -0.246  0.078
C  0.751  0.368  -0.033
S  0.824  2.090  0.550
S  -1.249  1.527  1.805
H  -2.246  -0.555  1.202
H  1.626  -0.100  0.476
H  1.104  0.646  -1.167



R:
C2H3NS2 | ωB97M-V/def2-TZVPD

SMILES string: C=NSC=S
Lowest unoccupied orbital energy (eV): -0.876
Gap between HOMO and LUMO (eV): 7.83

Geometry (Å):
C  1.756  0.032  -0.154
N  0.589  -0.271  -0.214
S  -0.678  1.111  0.023
C  -1.859  -0.197  0.452
S  -3.399  0.159  -0.259
H  2.228  1.065  -0.175
H  2.560  -0.863  -0.505
H  -1.197  -1.035  0.832



Which structure is most stable? P, by 2.7 kcal/mol over the runner-up.



P:
C2H3NS2 | ωB97M-V/def2-TZVPD

Lowest unoccupied orbital energy (spin up / spin down) (eV): -1.653 / -0.782
Gap between HOMO and LUMO (spin up / spin down) (eV): 7.35 / 7.97

Geometry (Å):
C  0.631  0.886  -0.234
C  0.291  -0.604  0.069
N  -0.098  1.839  -0.362
S  -1.351  -1.097  -0.466
S  -2.582  -0.008  0.565
H  1.726  0.943  -0.261
H  0.987  -1.256  -0.456
H  0.397  -0.704  1.145



Q:
C2H3NS2 | ωB97M-V/def2-TZVPD

SMILES string: S=C/N=C\S
Lowest unoccupied orbital energy (spin up / spin down) (eV): -1.294 / -1.294
Gap between HOMO and LUMO (spin up / spin down) (eV): 7.71 / 7.71

Geometry (Å):
S  1.366  -1.762  0.400
C  0.152  -0.827  1.047
N  -0.644  0.155  0.639
C  -0.437  0.984  -0.287
S  0.272  1.020  -1.940
H  -0.065  -1.142  2.086
H  -1.265  1.742  -0.397
H  0.621  -0.170  -1.549



Which structure is most stable? Q, by 4.8 kcal/mol over the runner-up.



P:
C6H11PS | ωB97M-V/def2-TZVPD

Lowest unoccupied orbital energy (spin up / spin down) (eV): -1.144 / -1.141
Gap between HOMO and LUMO (spin up / spin down) (eV): 7.02 / 7.02

Geometry (Å):
C  1.075  0.679  -1.180
C  0.482  -0.329  -0.605
C  0.388  1.947  -1.077
C  -1.198  1.702  -0.752
C  0.169  -2.918  -1.469
C  -1.079  0.395  1.925
P  -1.175  0.087  0.121
S  -2.626  -1.077  -0.176
H  1.923  0.351  -1.787
H  0.893  2.734  -0.483
H  0.338  2.479  -2.061
H  -1.519  2.545  -0.133
H  -1.687  1.704  -1.758
H  1.055  -3.247  -1.055
H  0.186  -2.522  -2.477
H  -0.786  -2.840  -0.913
H  -0.197  1.127  1.729
H  -1.995  0.882  2.294
H  -0.765  -0.319  2.619



Q:
C6H11PS | ωB97M-V/def2-TZVPD

SMILES string: C=CS[C@](C)(P)C=C
Lowest unoccupied orbital energy (eV): 0.939
Gap between HOMO and LUMO (eV): 9.35

Geometry (Å):
C  -1.489  -2.858  -0.742
C  -0.677  -1.826  -0.848
S  -1.375  -0.296  -1.201
C  -0.328  0.733  -0.163
C  -0.378  0.328  1.336
P  -0.690  2.504  -0.487
~~~
Here the page continues:

Life on Mars? Curiosity rover raises NASA hopes

Life on Mars? Curiosity rover raises NASA hopes

[ad_1] Recent findings from NASA's Curiosity rover have revealed intriguing evidence of Mars once harboring conditions suitable for life. A team of geologists, utilizing data from Curiosity's explorations, examinations of sedimentary rock beneath the Gulf of Mexico, and computer simulations, have identified signs of ancient river systems in several Martian craters.Gale crater, a significant impact basin on Mars' surface, played a pivotal role in this discovery. Researchers uncovered compelling evidence indicating that rivers might have been more prevalent on the Red Planet than previously assumed. Geoscientist Benjamin Cardenas, the lead author from Penn State University, stated, "We're finding evidence that Mars was likely a planet of rivers," Space.com reported. On Earth, rivers are v...
Carl Sagan detected life on Earth 30 years ago – here’s how his experiment is helping us search for alien species today

Carl Sagan detected life on Earth 30 years ago – here’s how his experiment is helping us search for alien species today

[ad_1]  It's been 30 years since a group of scientists led by Carl Sagan found evidence for life on Earth using data from instruments on board the Nasa Galileo robotic spacecraft. Yes, you read that correctly.Among his many pearls of wisdom, Sagan was famous for saying that science is more than a body of knowledge – it is a way of thinking. In other words, how humans go about the business of discovering new knowledge is at least as important as the knowledge itself. In this vein, the study was an example of a “control experiment” – a critical part of the scientific method. This can involve asking whether a given study or method of analysis is capable of finding evidence for something we already know. We are now on WhatsApp. Click to join.Suppose one were to fly past Earth in an alien sp...
Life on Mars? Check what NASA just found

Life on Mars? Check what NASA just found

[ad_1] After years of hard work and the best of technology deployed to find any signs of life on Mars, NASA has some good news. NASA's Perseverance Mars Rover appears to have made a major discovery that could point towards life on Mars. What the rover has found, are signs of life on the Red Planet. The rover has been exploring Mars' Jezero crater for three years now, and recent findings suggest the presence of something incredible - organic molecules, which are fundamental building blocks of life.Jezero Crater is considered an area of great interest due to its potential past habitability as it was an ancient lake basin and there is the presence of a diverse range of minerals there. Previous clues have already hinted at the planet's dynamic history. However, the latest discovery of organ...
Really? Signs of life on Red Planet? Take a bow, Perseverance Rover

Really? Signs of life on Red Planet? Take a bow, Perseverance Rover

[ad_1] Scientists have been searching for traces of life on Mars for over a hundred years. NASA has even sent the Rover Perseverance in hot pursuit of signs of life on Mars. Now, in a sensational announcement, it has been revealed that it successfully gathered multiple samples of organic matter, further strengthening the search for evidence of extraterrestrial life on Mars.In the latest development, NASA's Perseverance Rover has observed diverse organic matter from Jezero Crater on the red planet. The study published in the journal Nature reveals that the presence and distribution of preserved organic matter on the surface of Mars can help scientists to get key information about the Martian carbon cycle and eventually the potential of the planet to host life throughout its history. The ...
In a first, NASA Curiosity rover captures Sun rays on Mars

In a first, NASA Curiosity rover captures Sun rays on Mars

[ad_1] In its long and remarkable tenure on Mars, the NASA Curiosity rover has reached some significant milestones and discovered some really interesting things. The rover was first deployed on the red planet in 2012 and it continues to collect samples and look for signs of life on the planet. Recently, it discovered a bizarre rock formation that looked just like a duck. And now, it has captured a stunning image of a phenomenon which is extremely rare to see on Mars — visible Sun rays.It should be noted that while sunlight does make its way to Mars' surface just like it does on the Earth, visible Sun rays is not something which is commonly seen. A visible Sun ray is seen on our planet on a hazy day when sunlight is scattered by dust, smoke or other particles. These visible rays are not...
Life on Mars? Research explores possibility of life beyond Earth; check out What and Where

Life on Mars? Research explores possibility of life beyond Earth; check out What and Where

[ad_1] For millennia, caves have served as shelters for prehistoric humans. Caves have also intrigued scholars from early Chinese naturalists to Charles Darwin. Do caverns on Mars harbour life?Although that's a valid question, it isn't the appropriate one right now. According to an international group of experts led by Jut Wynne, a researcher at NAU, we need to ask and answer dozens of questions. We can come back to that question after learning how to analyse caves on the Moon, Mars, and other planetary worlds. The lead author of two related studies, both of which were included in a special collection of publications on planetary caves by the Journal of Geophysical Research Planets, is Wynne, an assistant research professor of cave ecology. An interdisciplinary team of 31 scientists,...
Life on Mars killed off by Martians? Shocking study says so

Life on Mars killed off by Martians? Shocking study says so

[ad_1] A new study has revealed that the early life on Mars might have killed itself off. Know how the Martians caused their own end. For years, the word ‘Martian' has been a part of our vocabulary. The word simply means forms of life on the planet Mars. But the mainstream nature of the word, unlike Venutian (belonging to Venus) or Mercurian (belonging to Mercury) highlights how people on Earth have always believed in the possibility that life exists on Mars. And while NASA has not found any evidence of life existing at present, it has found evidence for microbial life on Mars that existed millions of years ago. And as scientists try to find out more about the life that existed on Mars, a new study has made a shocking claim. It says that the life of Mars was ended by the first organis...
Underground microbes may have swarmed ancient Mars

Underground microbes may have swarmed ancient Mars

[ad_1] Ancient Mars may have had an environment capable of harbouring an underground world teeming with microscopic organisms. Ancient Mars may have had an environment capable of harbouring an underground world teeming with microscopic organisms, French scientists reported on Monday. But if they existed, these simple life forms would have altered the atmosphere so profoundly that they triggered a Martian Ice Age and snuffed themselves out, the researchers concluded. The findings provide a bleak view of the ways of the cosmos. Life — even simple life like microbes — “might actually commonly cause its own demise", said the study's lead author, Boris Sauterey, now a post-doctoral researcher at Sorbonne University. The results “are a bit gloomy, but I think they are also very stimu...
Life on Mars possible? NASA Perseverance Rover finds intriguing evidence

Life on Mars possible? NASA Perseverance Rover finds intriguing evidence

Molecular data from another source follow =
********
{
  "formula": "C9H14Br2O",
  "method": "ωB97M-V/def2-TZVPD",
  "total_charge": 0,
  "orbital_gap_ev": 9.598,
  "smiles": "CC(C)=C[C@@]1(Br)C(C)(C)[C@@]1(O)Br",
  "homo_energy_ev": -9.2,
  "species": ["C", "C", "C", "C", "C", "C", "C", "C", "C", "O", "Br", "Br", "H", "H", "H", "H", "H", "H", "H", "H", "H", "H", "H", "H", "H", "H"],
  "xyz": [[-1.0042, 0.0844, 0.5168], [-2.0733, -0.4581, -0.0127], [0.3573, 0.5321, -0.3608], [1.6831, 0.5857, 0.4093], [1.3972, -0.4500, -0.6487], [-3.2384, -0.9649, 0.7519], [-2.2255, -0.6520, -1.4648], [1.7878, 0.1596, 1.8555], [2.7386, 1.6249, -0.0219], [1.9660, -0.4958, -1.9010], [-0.2383, 1.8520, -1.7137], [0.9784, -2.3018, -0.1233], [-0.7739, 0.1222, 1.5179], [-3.2818, -1.0252, 1.8151], [-4.1449, -0.2857, 0.5152], [-3.5336, -2.0317, 0.3621], [-1.3638, -0.8497, -1.9520], [-2.7714, -1.5107, -1.7942], [-2.6861, 0.1667, -2.0337], [2.7951, -0.1966, 2.1041], [1.3510, -0.8077, 2.1003], [1.3811, 0.9362, 2.5479], [3.1056, 2.2335, 0.9021], [2.1916, 2.2103, -0.6755], [3.5733, 1.1142, -0.5091], [2.0290, 0.4083, -2.1868]],
  "forces_ev_per_angstrom": [[3.362, 0.710, -3.030], [-0.472, -0.369, 0.053], [-4.268, 0.097, 2.305], [1.050, -0.203, -0.188], [-0.679, -1.530, -0.434], [-2.992, -0.901, -1.366], [-2.178, 0.679, -0.641], [-0.332, -0.403, 0.772], [0.495, -0.881, 2.846], [0.563, -0.550, 0.507], [0.961, -0.332, 0.556], [0.422, 0.459, -0.313], [-0.026, 0.214, 2.247], [0.862, 0.142, 0.877], [1.191, -1.091, 0.046], [0.532, 1.968, 0.631], [3.383, -0.132, -1.293], [-0.991, -0.757, 0.620], [-0.001, 0.152, 0.521], [0.411, 1.174, -0.145], [-1.107, 0.242, -0.337], [0.662, -0.598, -0.409], [-0.671, -1.049, -1.792], [-0.289, 1.876, -1.503], [0.034, 0.288, 0.112], [0.078, 0.795, -0.642]]
}

{
  "formula": "C9H14Cl2N",
  "method": "ωB97M-V/def2-TZVPD",
  "total_charge": 1,
  "orbital_gap_ev": 8.857,
  "smiles": "C[N+](C)(C)/C(Cl)=C/C=C\\C=C/Cl",
  "homo_energy_ev": -12.1,
  "species": ["C", "C", "C", "C", "C", "C", "C", "C", "C", "N", "Cl", "Cl", "H", "H", "H", "H", "H", "H", "H", "H", "H", "H", "H", "H", "H", "H"],
  "xyz": [[2.8513, -1.3505, 0.6797], [3.2046, -0.7287, -0.5558], [1.7266, -1.1813, 1.4159], [3.0184, 0.5834, -0.7236], [0.4796, -0.4180, 1.0874], [-0.3999, -0.7278, 0.0865], [-0.9957, 1.5937, -0.4281], [-2.4950, 0.1231, 1.0298], [-2.3673, -0.1458, -1.3393], [-1.5762, 0.2649, -0.1296], [2.5535, 1.8647, 0.2784], [-0.4444, -2.1169, -0.8665], [3.5512, -2.1075, 0.9183], [3.8088, -1.1766, -1.3271], [1.9201, -1.5567, 2.4511], [3.5133, 1.0938, -1.5310], [0.2187, 0.4147, 1.6018], [-1.9068, 2.2947, -0.4083], [-0.1966, 1.9340, 0.2465], [-0.6244, 1.6785, -1.4495], [-2.2181, 0.8435, 1.7309], [-3.5506, 0.2900, 0.8133], [-2.3225, -0.8091, 1.4200], [-1.7264, -0.4026, -2.1348], [-3.0129, -1.0071, -1.1405], [-3.0092, 0.7496, -1.7255]],
********
So much for the molecular data =

[ad_1] NASA has made a new development while collecting organic material samples from Mars to pave the way for future special missions. Is life on Mars even possible? It is one of the most barren and bleak planets. Humans, without protection, would be dead in seconds. But the prospect of life on Mars has always been an intriguing concept. However, it has remained a mystery and keeps the scientists busy in trying to find plausible evidence and answers to prove that life did once exist on it. That's why NASA's Perseverance rover is on the hunt for signs of ancient life on the red planet. So far, the Perseverance rover has collected several samples of organic matter from Jezero Crater. Scientists hypothesise that a river once fl...